Man blocking schemes are the easiest for coaches to teach and for linemen, and backs to learn. All they need to do is be able to count. Man schemes also allow for the most accountability, if there is a breakdown a coach and the player should know where it occurred. There are some combination blocks associated with a man scheme; but for the most part, one offensive player is responsible for blocking one defender. The man scheme also allows the coach to tell the running back, with a high level of certainty, where the hole is going to be.
As discussed in Part 1: Grouping Plays into Concepts and Matching Corresponding Footwork, we will utilize 5 Run Steps:
- Base
- Reach
Calculated molecules, kept here for reference =
=====
This record from the Open Molecules 2025 dataset describes 13 unconnected molecules or ions with the total composition C2H29O13 in a non-equilibrium geometry. The level of theory is wB97M-V/def2-TZVPD.

Positions of all 44 atoms, in Å:
C (-23.002, -24.237, -14.364)
C (-22.290, -25.263, -13.459)
O (-21.597, -26.321, -14.046)
H (-23.809, -24.744, -14.892)
H (-22.393, -23.789, -15.149)
H (-23.439, -23.356, -13.894)
H (-23.077, -25.651, -12.812)
H (-21.547, -24.712, -12.883)
O (-22.683, -20.562, -14.575)
H (-23.575, -20.273, -14.768)
H (-22.703, -21.509, -14.711)
O (-23.354, -26.917, -17.014)
H (-22.921, -26.847, -16.164)
H (-23.089, -27.774, -17.349)
O (-20.452, -22.108, -11.422)
H (-21.397, -22.248, -11.487)
H (-20.186, -22.616, -10.656)
O (-18.813, -24.181, -13.477)
H (-19.009, -23.411, -12.943)
H (-19.658, -24.616, -13.591)
O (-19.913, -27.309, -12.049)
H (-20.508, -27.156, -12.783)
H (-19.180, -26.714, -12.206)
O (-23.552, -28.397, -14.276)
H (-22.751, -27.882, -14.182)
H (-24.065, -28.187, -13.496)
O (-22.400, -26.160, -10.279)
H (-22.640, -26.427, -11.166)
H (-21.787, -26.834, -9.984)
O (-23.017, -22.830, -17.395)
H (-23.083, -22.133, -18.048)
H (-23.752, -22.673, -16.802)
O (-25.889, -27.060, -15.320)
H (-24.966, -27.308, -15.379)
H (-25.995, -26.741, -14.424)
O (-26.039, -24.084, -16.589)
H (-25.952, -24.951, -16.194)
H (-25.687, -24.186, -17.473)
O (-25.263, -27.659, -12.404)
H (-25.715, -26.816, -12.365)
H (-25.619, -28.156, -11.667)
O (-20.011, -26.059, -16.620)
H (-20.569, -26.229, -15.861)
H (-19.305, -25.509, -16.281)

Its net charge is -1. The calculation puts the orbital gap at 7.3 eV. The molecular weight is 261.2 g/mol.

Here are the Mulliken charges for atoms 1 to 4, given in e:
1. C -1.2289
2. C 0.3097
3. O -0.5792
4. H 0.1010
=====
- Angle
'''
Record 1
Density functional theory data (ωB97M-V/def2-TZVPD) for one molecule with the formula C4H7I.

```
12
C4H7I ωB97M-V/def2-TZVPD
C -0.109 1.648 0.044
C 0.016 0.280 0.037
C -1.270 -0.485 -0.214
C 1.189 -0.868 0.223
I 3.161 -0.054 -0.028
H 0.736 2.299 0.172
H -1.074 2.088 -0.090
H -1.215 -1.507 0.150
H -1.482 -0.524 -1.284
H -2.108 0.010 0.267
H 1.122 -1.245 1.236
H 1.033 -1.642 -0.514
```

Computed properties:
* highest occupied orbital energy: -9.35 eV
* relative energy (zero: lowest compared OMol25 entry of this formula, charge and spin): 0.0 kcal per mole
* frontier orbital gap: 9.87 eV

Record 2
Density functional theory data (ωB97M-V/def2-TZVPD) for C37H46N7PdS as an isolated structure.

```
92
C37H46N7PdS ωB97M-V/def2-TZVPD
Pd -0.313 0.353 0.180
C 1.830 -1.750 3.072
C 1.605 -2.692 1.923
C 2.533 -3.678 1.615
C 2.291 -4.591 0.600
C 1.091 -4.550 -0.089
C 0.125 -3.589 0.196
C -1.213 -3.650 -0.484
C 0.424 -2.646 1.180
N -0.461 -1.549 1.405
C -1.521 -1.668 2.103
C -1.947 -2.920 2.804
C -2.412 -0.449 2.213
C -3.614 -0.532 3.100
N -2.083 0.579 1.533
C -2.847 1.783 1.560
C -2.629 2.706 2.586
C -1.745 2.384 3.755
C -3.303 3.920 2.520
C -4.176 4.198 1.480
C -4.399 3.249 0.494
C -3.741 2.024 0.515
C -4.032 0.977 -0.524
H 2.878 -1.760 3.374
H 1.247 -2.061 3.943
H 1.532 -0.728 2.830
H 3.454 -3.727 2.182
H 3.030 -5.343 0.359
H 0.882 -5.283 -0.858
H -1.124 -4.123 -1.460
H -1.659 -2.668 -0.629
H -1.901 -4.259 0.108
H -1.197 -3.700 2.696
H -2.890 -3.280 2.389
H -2.114 -2.729 3.864
H -4.244 -1.371 2.804
H -4.199 0.384 3.054
H -3.312 -0.707 4.133
H -0.796 1.948 3.450
H -2.234 1.673 4.425
H -1.534 3.282 4.331
H -3.141 4.650 3.302
H -4.691 5.147 1.444
H -5.098 3.453 -0.306
H -4.447 1.437 -1.420
H -4.777 0.270 -0.150
H -3.148 0.397 -0.802
N -1.290 -0.562 -1.454
C -0.549 -0.732 -2.457
C 0.870 -0.249 -2.457
C 1.331 0.608 -3.457
C 2.609 1.140 -3.391
C 3.449 0.816 -2.328
C 3.005 -0.047 -1.339
C 1.721 -0.580 -1.403
C -1.060 -1.420 -3.681
C -2.424 -1.403 -3.963
C -2.919 -2.086 -5.060
C -2.057 -2.801 -5.882
C -0.699 -2.827 -5.605
C -0.201 -2.134 -4.511
H 0.680 0.855 -4.286
H 2.958 1.800 -4.175
H 4.452 1.220 -2.290
H 3.660 -0.330 -0.526
H 1.426 -1.347 -0.684
H -3.084 -0.851 -3.307
H -3.977 -2.062 -5.277
H -2.445 -3.335 -6.739
H -0.026 -3.386 -6.240
H 0.860 -2.160 -4.297
S 1.271 1.681 1.848
C 2.865 1.956 1.322
N 3.886 1.228 1.785
C 5.288 1.520 1.509
C 5.434 2.983 1.123
C 4.448 3.310 0.012
N 3.113 2.905 0.422
H 3.644 0.541 2.482
H 5.653 0.872 0.705
H 5.864 1.293 2.406
H 6.452 3.179 0.790
H 5.232 3.615 1.989
H 4.729 2.792 -0.911
H 4.429 4.379 -0.199
H 2.295 3.404 0.095
N 0.582 3.171 -1.231
N -0.572 2.413 -0.840
H 0.290 4.017 -1.718
H 1.108 2.599 -1.887
H -1.236 2.289 -1.606
H -1.046 2.916 -0.090
```

Computed properties:
* highest occupied orbital energy (alpha / beta): -9.46 / -9.97 eV
* <S²>: 2.0120
* spin multiplicity: 3
* total charge: +1
* frontier orbital gap (alpha / beta): 6.72 / 6.94 eV

Record 3
'''
- Bucket
- Pull
Between two parts of the entry: quantum chemistry results:
<<<
Entry from OMol25: the molecule C15H22O3S in a non-equilibrium geometry (ωB97M-V/def2-TZVPD).

The geometry in XYZ format:
```
41
Properties=species:S:1:pos:R:3:forces:R:3
O 0.297057 -5.059100 -0.098347 -0.7 2.3 -0.2
O 1.000445 -2.945567 -1.297379 -1.3 -0.4 1.2
O -0.416444 -3.185938 3.098496 -0.2 0.0 -0.1
C -0.883812 2.050157 0.372120 0.0 -1.3 0.4
C 1.203761 1.219670 -0.557666 -1.1 0.2 1.4
C -0.844237 1.022943 1.364189 0.3 0.9 -1.2
C 1.287691 0.262241 0.495766 -1.4 1.6 -1.8
C 0.129927 2.142019 -0.610138 0.0 -0.3 0.7
C 0.246581 0.131184 1.409767 -0.5 0.3 1.0
C 1.538717 -0.838800 3.385519 0.1 0.6 0.5
C 0.004969 1.639552 -3.750433 -0.3 0.2 0.6
C -2.155734 2.166368 -2.579189 0.7 -0.8 0.0
C 0.016177 3.213996 -1.682302 -0.1 -1.6 -0.4
C 0.266773 -0.904918 2.535957 0.7 -0.8 -0.9
C -0.762934 2.702637 -2.937013 -0.1 0.2 -0.2
C 0.068606 -2.385032 1.997921 -0.4 -0.2 0.4
C 1.313474 -3.096690 1.363704 1.1 -0.1 0.8
C -0.836177 -2.633652 0.763589 -0.4 0.1 -0.5
S 0.421100 -3.587522 -0.112868 2.5 -1.6 0.0
H -1.376419 -3.044446 3.279844 1.2 0.1 -0.5
H -1.783758 2.692265 0.309173 0.8 -0.3 0.1
H 1.981124 1.281382 -1.300194 0.2 -0.1 -0.1
H -1.681800 0.937270 2.076961 0.6 0.0 -0.4
H 2.091941 -0.409277 0.419374 1.0 -0.8 0.4
H 1.552668 -1.598495 4.168100 -0.1 -0.1 -0.1
H 1.646873 0.134262 3.906161 -0.3 -0.4 -0.4
H 2.423367 -0.949270 2.781163 0.4 -0.1 -0.3
H 0.070464 0.693089 -3.207665 0.0 0.0 0.0
H -0.526365 1.455002 -4.672592 -0.2 -0.1 -0.3
H 1.006316 1.957598 -4.013874 0.3 0.1 0.0
H -2.703842 2.827279 -1.930213 -0.2 0.3 0.3
H -2.051335 1.177414 -2.109905 -0.1 0.3 0.2
H -2.746657 1.982855 -3.463397 -0.2 0.1 -0.4
H 1.007358 3.510525 -1.979782 0.5 0.2 -0.2
H -0.453706 4.070163 -1.247780 -0.5 0.6 0.2
H -0.529026 -0.725128 3.246965 -0.6 0.1 -0.2
H -0.927022 3.554941 -3.615492 0.2 0.0 0.3
H 2.203202 -2.479256 1.119808 -0.7 -0.2 0.2
H 1.645797 -3.974645 1.952888 -0.3 0.5 -0.3
H -1.703404 -3.250411 0.940306 -0.4 0.0 0.1
H -1.041719 -1.756665 0.178456 -0.3 0.4 -0.2
```
>>>
So much for the quantum chemistry results:
In the Man scheme, Guards are responsible for #1 on the line of scrimmage (LOS), the Defensive Tackles(Diagram 1).
A head up Nose Guard with both Guards uncovered is #1 on the playside. The back-side Guard is a free player. He can be part of a 3-man combo on the Nose Guard with the Center and playside Guard to the back-side ILB vs. a 3-4 (Diagram 2).
Versus a 3-3, the playside Guard and Center combo the Nose Guard to the Middle LB. The back-side Guard can combo the Nose Guard but will be responsible for the back-side OLB stacked on the DE at the edge of the box (Diagram 3). Tackles are responsible for #2 on the LOS, the Defensive Ends. The Center is responsible for the Middle Linebacker (in a 4-3 or 3-3) or the back-side Inside Linebacker (4-4, 3-4) vs. a two Inside Linebacker front and must call the combo with the appropriate Guard when he is covered. If the offense utilizes a Tight End, he blocks #3 on the LOS or a walk-up Linebacker. If there is no #3 on the LOS, he arc releases to block the alley defender. The alley defender could be an outside linebacker, a safety or a rolled Corner to a nub tight end. The first Linebacker to the playside is blocked by a lead back.
This report will address three common running plays that are associated with the Man Scheme. They are:
- Iso
- Lead Draw
- Counter
Counter is sometimes referred to as Tackle Trap. These three running plays can be utilized by almost every style of offense.
Let's begin with the Iso play. To avoid the big collision of lead back on Linebacker, it is best to run the play through the B-gap (between the Guard and Tackle). A good Linebacker may get a split read from the Guard and Tackle and fill the gap, but he will not have a direct path to collision the lead back as he would if the play were run to the A-gap (between the Center and Guard). Now let's address the big guys up front and start with the playside Guard's block on #1. If the DT is aligned in a 1-tech (inside shoulder of Guard), the playside Guard will take a Base step with his outside foot (Diagram 4). This step insures that the defender does not beat him on a slant to the B-gap. He should NEVER step with the near foot to the defender when he already has positional leverage to the hole. The visual aiming point for the Guard is the outside bottom of the defenders facemask. That aiming point allows the Guard to maintain horizontal leverage to the hole and vertical leverage on the defender (under his pad level).